KMS and Envelope Encryption Explained

Juan Carlos Garzon
iCapital Network Technology Group
7 min readJun 17, 2020

What is a KMS (Key Management System)?

Behind every bit of encrypted information, there is a key that unlocks that information. Due to the complexity of modern encryption, it becomes necessary to create and maintain a system that allows you to create, manage, assign, decommission keys, as well as perform the base encryption and decryption functions. This kind of system is known as a KMS or a Key Management System. Having a KMS is so crucial that even Amazon offers its own KMS system to the public.

Limitations of Amazon KMS

While Amazon KMS is a highly considered and useful solution. Its flaw lies in how your keys are stored by regions. So if you were to create encryption keys in the US-East region, it would mean that if there were a disaster that caused an outage to Amazon services on the East coast of the US, these keys would be unavailable to you, and prevent you from accessing your data during a disaster. This is a worst-case scenario, and if your don’t have a need for a robust disaster recovery plan, then you could use Amazon KMS without much worry.

However, let's practice extreme caution and work around Amazon’s KMS region problem. We’ll do this by creating our own KMS Service and manage our own data security strategy.

**Records of crystals from another source follow:**
'''
1.
DFT (PBE) results for MnNiTe2 after structural relaxation. Values from VASP.

```
&SYSTEM
  ibrav = 0, nat = 4, ntyp = 3
/
ATOMIC_SPECIES
Mn 54.94 Mn.upf
Ni 58.69 Ni.upf
Te 127.60 Te.upf
ATOMIC_POSITIONS crystal
Mn 0.500 0.500 0.500
Ni 0.750 0.750 0.750
Te 0.000 0.000 0.000
Te 0.250 0.250 0.250
CELL_PARAMETERS angstrom
-1.806 -4.106 -1.956
3.036 -3.462 -1.658
0.417 -4.244 2.402
```

As for the density of states at the Fermi level: 2.96 states/eV/f.u. The calculation puts the formation energy from raw total energies at 634 meV per atom.

***

2.
DFT (PBE) results for Cs2BiAsSe4 after structural relaxation. Values from VASP.

```
&SYSTEM
  ibrav = 0, nat = 16, ntyp = 4
/
ATOMIC_SPECIES
Cs 132.91 Cs.upf
Bi 208.98 Bi.upf
As 74.92 As.upf
Se 78.96 Se.upf
ATOMIC_POSITIONS crystal
Cs 0.181 0.000 0.637
Cs 0.819 0.000 0.363
Cs 0.569 0.500 0.863
Cs 0.931 0.500 0.137
Bi 0.750 0.500 0.500
Bi 0.000 0.000 0.000
As 0.250 0.500 0.500
As 0.500 0.000 0.000
Se 0.317 0.798 0.113
Se 0.229 0.202 0.887
Se 0.885 0.798 0.887
Se 0.570 0.202 0.113
Se 0.433 0.702 0.387
Se 0.521 0.298 0.613
Se 0.865 0.702 0.613
Se 0.180 0.298 0.387
CELL_PARAMETERS angstrom
-5.715 1.863 3.299
-2.693 -5.615 5.630
4.206 6.601 10.682
```

The calculation puts the formation energy from raw total energies at -576 meV per atom.

***

3.
DFT (PBE) results for Ba2AlCdIr after structural relaxation. Values from VASP.

```
&SYSTEM
  ibrav = 0, nat = 5, ntyp = 4
/
ATOMIC_SPECIES
Al 26.98 Al.upf
Ir 192.22 Ir.upf
Ba 137.33 Ba.upf
Cd 112.41 Cd.upf
ATOMIC_POSITIONS crystal
Al 0.000 0.000 0.500
Ir 0.000 0.000 0.000
Ba 0.000 0.500 0.000
Ba 0.500 0.000 0.000
Cd 0.500 0.500 0.500
CELL_PARAMETERS angstrom
-2.713 -5.066 2.142
3.212 0.479 5.203
-3.512 2.692 1.920
```

As for the density of states at the Fermi level: 3.48 states/eV/f.u. The value obtained for the calculated total energy is -3.7011 eV per atom.

***

4.
DFT (PBE) results for Dy2ErHg3 after structural relaxation. Values from VASP.

```
&SYSTEM
  ibrav = 0, nat = 6, ntyp = 3
/
ATOMIC_SPECIES
Dy 162.50 Dy.upf
Er 167.26 Er.upf
Hg 200.59 Hg.upf
ATOMIC_POSITIONS crystal
Dy 0.500 0.500 0.832
Dy 0.500 0.500 0.168
Er 0.500 0.500 0.500
Hg 0.000 0.000 0.000
Hg 0.000 0.000 0.664
Hg 0.000 0.000 0.336
CELL_PARAMETERS angstrom
-0.518 -0.008 3.682
-1.923 -3.170 -0.277
9.375 -5.800 1.306
```

As for the density of states at the Fermi level: 5.73 states/eV/f.u. The value obtained for the calculated total energy is -2.9258 eV per atom.

***

5.
DFT (PBE) results for LaCu2Pt after structural relaxation. Values from VASP.

```
&SYSTEM
  ibrav = 0, nat = 4, ntyp = 3
/
ATOMIC_SPECIES
Cu 63.55 Cu.upf
La 138.91 La.upf
Pt 195.08 Pt.upf
ATOMIC_POSITIONS crystal
Cu 0.000 0.000 0.000
Cu 0.500 0.500 0.000
La 0.500 0.000 0.500
Pt 0.000 0.500 0.500
CELL_PARAMETERS angstrom
4.057 0.000 0.000
0.000 4.067 0.000
0.000 0.000 4.644
```
'''
**End of the records of crystals:**

Basic Encryption

The base of any KMS, is the ability to encrypt and decrypt data. Node has a built-in crypto library. This gives us access to an encryption API, allowing us to choose and implement from many different cryptographic algorithms from OpenSSL. If you want to see a full list of supported cryptographic algorithms, run the following command in your terminalopenssl list -cipher-algorithms.

Choosing a cryptographic algorithm is a topic worthy of discussion on its own. However, for our purposes, let’s keep it simple and just use AES-128-CBC in our examples.

const crypto = require("crypto");
const ALGORITHM = "aes-128-cbc";
const key = "plainTextMasterKey";const encrypt = function(str) {
let cipher = crypto.createCipher(ALGORITHM, key);
let ciphertext = cipher.update(str, "utf8", "hex");
return ciphertext +"hex");
const decrypt = function(encrypted_str) {
let cipher = crypto.createDecipher(ALGORITHM, key);
let text = cipher.update(encrypted_str, "hex", "utf8");
return text +"utf8");
module.exports = {
basicEncrypt: encrypt,
basicDecrypt: decrypt

The above uses Encryptor/Decryptor, the basis of which is pretty simple, we need a key and we use that get to set up the ciphers for the createCipher and createDecipher methods. Then we simply encode and encrypt the string, and do it reverse when we want to decode and decrypt the encryption result.

You can take some time and play in the sandbox, and see how this works in action.
Source Code:

Envelope Encryption

Now we have a basic understanding of how to encrypt and decrypt data. For a functional KMS system, we need to add the ability to support multiple keys. But this presents a new problem, how does our KMS know which key was used to encrypt which file?

Standard Encryption Workflow

This where envelope encryption comes in. In our previous example, we used a key to lock the data, like in the diagram above. However, in envelope encryption, we take it one step further, we use a separate key and append it to the encrypted file. In essence, we have 2 separate keys, and to avoid confusion, we’ll call the encryption key the crypt key, and the other the data key.

Envelope Encryption combines the Data Key with the encrypted file

Keep in mind that the data key is not the same as the crypt key, you will not be able to use it to unlock encrypted information no matter who has it. It's simply an identifier that lets you know which key was used to lock the data. So let’s take a look at an example.

### Calculated crystals, kept here for reference
-- begin --
The following is a DFT calculation (PBE) of a relaxed structure of RbV.

Energy relative to the lowest polymorph listed for this composition (meV per atom): 1382
Space-group type: Pm-3n (223)
Calculated density (g/cm3): 1.1
E_form (meV per atom): 2211

Structure (POSCAR):
```
RbV
1.0
10.745 0.000 0.000
0.000 10.745 0.000
0.000 0.000 10.745
Rb V
6 6
Direct
0.000 0.250 0.500
0.000 0.750 0.500
0.250 0.500 0.000
0.500 0.000 0.250
0.500 0.000 0.750
0.750 0.500 0.000
0.000 0.500 0.250
0.000 0.500 0.750
0.250 0.000 0.500
0.500 0.250 0.000
0.500 0.750 0.000
0.750 0.000 0.500
```

=====

The following is a DFT calculation (PBE) of a relaxed structure of CoCuPt2.

Space-group type: F-43m (216)
Calculated density (g/cm3): 15.0
E_form (meV per atom): 97

Structure (POSCAR):
```
CoCuPt2
1.0
0.000 3.048 3.048
3.048 0.000 3.048
3.048 3.048 0.000
Co Cu Pt
1 1 2
Direct
0.000 0.000 0.000
0.750 0.750 0.750
0.250 0.250 0.250
0.500 0.500 0.500
```

=====

The following is a DFT calculation (PBE) of a relaxed structure of NbCrSb2I.

Energy relative to the lowest polymorph listed for this composition (meV per atom): 178
Space-group type: P4/mmm (123)
Calculated density (g/cm3): 6.1

Structure (POSCAR):
```
NbCrSb2I
1.0
5.013 0.000 0.000
0.000 5.013 0.000
0.000 0.000 5.561
Nb Cr Sb I
1 1 2 1
Direct
0.000 0.000 0.000
0.500 0.500 0.500
0.000 0.500 0.500
0.500 0.000 0.500
0.500 0.500 0.000
```

=====

The following is a DFT calculation (PBE) of a relaxed structure of NaInHgF6.

Space-group type: P-31c (163)
Final energy (eV per cell): -71.005
Calculated density (g/cm3): 5.3

Structure (POSCAR):
```
NaInHgF6
1.0
5.922 0.000 0.000
-2.961 5.128 0.000
0.000 0.000 9.414
Na In Hg F
2 2 2 12
Direct
0.000 0.000 0.000
0.000 0.000 0.500
0.333 0.667 0.250
0.667 0.333 0.750
0.333 0.667 0.750
0.667 0.333 0.250
0.030 0.363 0.131
0.030 0.667 0.369
0.333 0.363 0.369
0.333 0.970 0.131
0.363 0.030 0.631
0.363 0.333 0.869
0.637 0.667 0.131
0.637 0.970 0.369
0.667 0.030 0.869
0.667 0.637 0.631
0.970 0.333 0.631
0.970 0.637 0.869
```

=====

The following is a DFT calculation (PBE) of a relaxed structure of Sm2ThTl4.

Energy relative to the lowest polymorph listed for this composition (meV per atom): 448
Space-group type: I4/mmm (139)
Calculated density (g/cm3): 7.9
E_form (meV per atom): 305

Structure (POSCAR):
```
Sm2ThTl4
1.0
-2.983 2.983 7.932
2.983 -2.983 7.932
2.983 2.983 -7.932
Sm Th Tl
2 1 4
Direct
0.099 0.099 0.000
0.901 0.901 0.000
0.500 0.500 0.000
0.000 0.500 0.500
0.300 0.300 0.000
0.500 0.000 0.500
0.700 0.700 0.000
```

=====

The following is a DFT calculation (PBE) of a relaxed structure of NaNbSnBr2.

Space-group type: P4/mmm (123)
Final energy (eV per cell): -17.097
Calculated density (g/cm3): 3.9

Structure (POSCAR):
```
NaNbSnBr2
1.0
5.017 0.000 0.000
0.000 5.017 0.000
0.000 0.000 6.589
Na Nb Sn Br
1 1 1 2
Direct
0.000 0.000 0.000
0.000 0.000 0.500
0.500 0.500 0.000
0.000 0.500 0.500
0.500 0.000 0.500
```

=====
-- stop --
### The calculated crystals stop here

const crypto = require("crypto");
const ALGORITHM = "aes-128-cbc";
const DATAKEYS = {
dataKey1: { cryptKey: "plainTextMasterKey1" },
dataKey2: { cryptKey: "plainTextMasterKey2" },
dataKey3: { cryptKey: "plainTextMasterKey3" }
const DATAKEY_LENGTH = 8;const getRandomKey = function() {
const ranNum = Math.floor((Math.random() * 10) % 3);
return Object.keys(DATAKEYS)[ranNum];
const encrypt = function(str) {
const dataKey = getRandomKey();
const cryptKey = DATAKEYS[dataKey].cryptKey;
const cipher = crypto.createCipher(ALGORITHM, cryptKey);
const ciphertext = cipher.update(str, "utf8", "hex"); return dataKey + ciphertext +"hex");
const decrypt = function(enveloped_str) {
const dataKey = enveloped_str.slice(0, DATAKEY_LENGTH);
const cryptKey = DATAKEYS[dataKey].cryptKey;
const cryptedText = enveloped_str.substring(DATAKEY_LENGTH);
const cipher = crypto.createDecipher(ALGORITHM, cryptKey);
const text = cipher.update(cryptedText, "hex", "utf8");
return text +"utf8");};module.exports = {
encrypt: encrypt,
decrypt: decrypt

In this implementation of envelope encryption, a hash map is used to map the crypt keys, to the data keys. Then I randomly choose one data key and its associated crypt key, to encrypt the data and then append the data key with the resulting encryption.

Notice that no matter which data key is used, the decrypt method here will always be able to decode the information. We ensure this by keeping our data keys the same length. This way the decrypt method knows which part of the data is the data key and which part is the encrypted data. Also, keep in mind you don’t want to use anything readable like dataKey1 as the data key. You should randomly generate your data key, so it appears as if it's part of the encrypted data, and then you can append it to the start or end of the file.

Take some time and play in the sandbox, and see how this works in action.

Source Code:

Putting it all together KMS and the Keybox

Envelope encryption alone does not make a key management system. So far our examples have flaws such as our crypt keys being stored as plaintext, and the lack of flexibility as to which encryption key we want to apply.

Real-World Keybox

To add these new features let’s introduce the key box. It is our centralized location for managing keys.

Our previous examples had our keys stored in a hash, where our crypt keys were stored as plain text. This is a bad practice because it leaves our keys vulnerable to anyone who has access to the source code. Ideally, you want to keep the circle of people who have access to these keys small.

We can do this by keeping our data keys stored in a database, along with our encrypted crypt keys. Our crypt keys should never be plaintext in our database. In keeping with the principle of keeping our crypt keys as secret as possible, we also want to protect them from anyone who has database access.

We can leverage the Amazon KMS to just encrypt and decrypt our crypt keys. Since we only need to rely on it for the initialization of our keys, and not the active encrypting of our data, the region problem doesn't hamper us. This is because our crypt keys will already have been decrypted and loaded into memory once our server starts up.

const guids = require("./guids");
const Sequelize = require("sequelize");
// Always password protect your databases, this is just an example
var sequelize = new Sequelize("database", "", "", {
host: "",
dialect: "sqlite",
pool: {
max: 5,
min: 0,
idle: 10000
storage: "src/db/database.sqlite"
const KEYS = {};
function initKeys() {
console.log("++++ Initializing Keys ++++");
let promise = new Promise((resolve, reject) => {
sequelize.authenticate().then(function(err) {
console.log("Connection established.");
KMS_DATABASE = sequelize.define("kms_dev",{
/* Define your table columns here */
KMS_DATABASE.findAll().then(function(kms) {
// finds all entries in the kms_devs table
kms.forEach(itm => {
// Here I'm using the plain text for this example
// But here is where you would decrypt encrypted_crypt_key
// By using Amazon KMS, or any other decryption strategy.
const decryptedKey = itm.encrypted_crypt_key;
KEYS[itm.client_id] = {
[itm.data_key]: {
binary: decryptedKey,
disabled: itm.disabled
// KEYS have been initalized and the app can now start
}).catch(function(err) {
console.log("Unable to connect to database: ", err);
return promise;
function getClientDataKeys(client_id) {
return KEYS[client_id];
function validClient(client_id) {
return getClientDataKeys(client_id) !== undefined;
function validKey(client_id, key_id) {
const client = getClientDataKeys(client_id);
return client[key_id] !== undefined;
function getKey(client_id) {
const clientKeys = getClientDataKeys(client_id);
const dataKeys = Object.keys(clientKeys);
const enabledKey = dataKeys.find(key => {
return !clientKeys[key].disabled;
return enabledKey;
function getBinary(client, key_id) {
return KEYS[client][key_id].binary;
module.exports = {
initKeys: initKeys,
validClient: validClient,
validKey: validKey,
getKey: getKey,
keyLength: guids.guidLength,
getBinary: getBinary


In our example, we use the initKeys function to load our keys into memory. We added the ability to apply specific keys to clients by adding aclient_id. Although this code still stores the crypt key as plain text in the database, I placed comments where you can take can add the extra step to decrypt an encrypted crypt key, and store it as thebinary attribute. Lastly, in order to allow us to rotate keys in and out of commission, we have the disabled attribute, notice the getKey function where we only return enabled keys for encryption.

Note: Rotating keys should be done on a regular intervals. It reduces the overall impact a potential breach can have. A compromised crypt key will only expose the data that was encrypted with it during your interval.

Data security is a constant arms race. We have to try to keep ahead of those who are looking for new and inventive ways or gaining access to our sensitive data, and KMS is just 1 tool, in the larger InfoSec toolbox but ultimately a core component of it.

Relevant Links:
Amazon KMS: AWS Key Management System.
Node.js Crypto API:

